Wednesday, November 11, 2009

Failure number 7,894,423, give or take a few more million, of socialism

In the wonderful workers paradise that is Venezuela, where all people are equal and there is no strife as Chavez is concurrently Jesus, Castro and Barack Obama combined, El Jefe has made all people equal. Equal to rolling blackouts in one of the most energy rich countries in the Western Hemisphere. From the NYTIMES (of all places)

This country may be an energy colossus, with the largest conventional oil reserves outside the Middle East and one of the world’s mightiest hydroelectric systems, but that has not prevented it from enduring serious electricity and water shortages that seem only to be getting worse.

President Hugo Chávez has been facing a public outcry in recent weeks over power failures that, after six nationwide blackouts in the last two years, are cutting electricity for hours each day in rural areas and in industrial cities like Valencia and Ciudad Guayana. Now, water rationing has been introduced here in the capital.

Over the course of the last decade, Chavez has nationalized the better portion of the utilities industry as oil money flowed into the country and drove growth in Venezuela. Now that we have seen global demand wane, it looks like poor little Hugo is learning, probably for the first time, the inefficiencies inherent in centrally planned economies. As oil revenues poured in, things got better for the greater population in Venezuela right?

The deterioration of services is perplexing to many here, especially because the country had grown used to cheap, plentiful electricity and water in recent decades. But even as the oil boom was enriching his government and Mr. Chávez asserted greater control over utilities and other industries in this decade, public services seemed only to decay, adding to residents’ frustrations.

With oil revenues declining and the economy slowing, the shortages may have no quick fixes in sight. The government announced some emergency measures this week, including limits on imports of air-conditioning systems, rate increases for consumers of large amounts of power and the building of new gas-fired power plants, which would not be completed until the middle of the next decade.

So what does Hugo do? He moves towards a more efficient market based economy right?

In response, the president is embarking on his own crusade: pushing Venezuelans to conserve by mocking their consumption habits.

He began his critique last month with the amount of time citizens spent under their shower heads, saying three-minute showers were sufficient. “I’ve counted and I don’t end up stinking,” he said. “I guarantee it.”

Then he went after the country’s ubiquitous love motels and shopping malls, accusing them of waste. “Buy your own generator,” he threatened, “or I’ll cut off your lights.” He similarly laid blame with “oligarchs,” a frequently used insult here for the rich, for overconsumption of water in gardens and swimming pools.

Damn those clean people. How dare they want to wash themselves. Additionally those money changers are trying to throw their weight around.

Mr. Chávez is even going after his countrymen’s expanding waistlines. “Watch out for the fat people,” he said last month, citing a study finding a jump in obesity. “Time to lose weight through dieting and exercise.”

When Chavez writes his little red book the first political piece of advice will be "fatty, fatty two by four can't fit through the bathroom door." I wonder if that will show up in any of the speeches of Mark Lloyd and Anita Dunn in the future. Fat People are the scourge of existence they don't share their bounty.

Meanwhile, homes and businesses across the country are adapting to the erratic supply of power and, here in Caracas, of water. Sales of small generators, candles and water storage tanks are surging. Reflecting the unease of the already strained industrial base, which developed around access to ample and cheap power, Sidor, a steel maker in Ciudad Guayana, said it was shutting down its furnaces five hours a day because of the cuts.

“If this crisis teaches us something,” said Fernando Branger, an energy expert at the Institute of Superior Administration Studies, a Caracas business school, “it is that the immensity of our energy reserves means nothing if we cannot even get them out of the ground.”

Socialism will never be able to match up to the efficiency of capitalism. Can we finally throw this model on the dustbin of history.(see what I did there, I quoted Trotsky)

Thursday, November 5, 2009

Hey Mr. Bi-Partisan I want ideas that work President, here is a plan that works better. I'm holding my breath as I know that you are my Messiah.

I would have liked to have been a fly on the wall in the White House when the C.B.O released this report. I can imagine that Rahm Emmanuel let loose with the F-bombs like the Allies at Dresden. To commence with the nana-nana-boo-booering

CBO and the staff of the Joint Committee on Taxation (JCT) estimate that the amendment would reduce federal deficits by $68 billion over the 2010-2019 period; it would also slightly reduce federal budget deficits in the following decade, relative to those projected under current law, with a total effect during that decade that is in a broad range between zero and one-quarter percent of gross domestic product.

This is good,good news as the bill after the after ten years would almost truly be "deficit neutral" And the hits keep on coming.

Regulatory reforms in the small group and non-group markets, including establishing association health plans (insurance coverage that is offered to members of an association) and individual membership associations, and allowing states to establish interstate compacts with a unified regulatory structure;

Between two parts of the page: materials data:
********
# 1
Theoretical X-ray diffraction stick pattern of Dy2Fe17H3 for CuKα, from a cell relaxed with PBE.
Peak positions follow from Bragg's law for the DFT cell and can differ from measured ones.

Largest 10 diffraction maxima, sorted by position, 2θ from 10° to 90°:
two_theta, d/Å, I_rel
30.13, 2.966, 44
36.35, 2.472, 41
40.94, 2.204, 34
42.22, 2.141, 66
42.68, 2.118, 100
44.04, 2.056, 33
46.33, 1.960, 18
61.60, 1.506, 20
62.65, 1.483, 19
80.06, 1.199, 24

Structural model:
Cell lengths 8.562, 8.562, 8.225 Å; angles 90.00, 90.00, 120.00 degrees
Element x y z (fractional)
Dy 0.000 0.000 0.250
Dy 0.000 0.000 0.750
Dy 0.333 0.667 0.250
Dy 0.667 0.333 0.750
Fe 0.000 0.500 0.000
Fe 0.000 0.500 0.500
Fe 0.048 0.377 0.750
Fe 0.048 0.671 0.750
Fe 0.167 0.333 0.016
Fe 0.167 0.333 0.484
Fe 0.167 0.833 0.016
Fe 0.167 0.833 0.484
Fe 0.329 0.377 0.750
Fe 0.329 0.952 0.750
Fe 0.333 0.167 0.516
Fe 0.333 0.167 0.984
Fe 0.333 0.667 0.605
Fe 0.333 0.667 0.895
Fe 0.377 0.048 0.250
Fe 0.377 0.329 0.250
Fe 0.500 0.000 0.000
Fe 0.500 0.000 0.500
Fe 0.500 0.500 0.000
Fe 0.500 0.500 0.500
Fe 0.623 0.671 0.750
Fe 0.623 0.952 0.750
Fe 0.667 0.333 0.105
Fe 0.667 0.333 0.395
Fe 0.667 0.833 0.016
Fe 0.667 0.833 0.484
Fe 0.671 0.048 0.250
Fe 0.671 0.623 0.250
Fe 0.833 0.167 0.516
Fe 0.833 0.167 0.984
Fe 0.833 0.667 0.516
Fe 0.833 0.667 0.984
Fe 0.952 0.329 0.250
Fe 0.952 0.623 0.250
H 0.165 0.330 0.250
H 0.165 0.835 0.250
H 0.330 0.165 0.750
H 0.670 0.835 0.250
H 0.835 0.165 0.750
H 0.835 0.670 0.750

=====

# 2
Theoretical X-ray diffraction stick pattern of Ti2Cr4Si5 for CuKα, from a cell relaxed with PBE.
Peak positions follow from Bragg's law for the DFT cell and can differ from measured ones.

Largest 10 diffraction maxima, sorted by position, 2θ from 10° to 90°:
two_theta, d/Å, I_rel
37.50, 2.399, 27
40.20, 2.243, 54
41.01, 2.201, 66
41.92, 2.155, 45
42.05, 2.149, 76
42.60, 2.122, 100
43.21, 2.094, 98
44.96, 2.016, 60
51.62, 1.771, 28
88.75, 1.102, 34

Structural model:
Cell lengths 9.039, 9.039, 9.039 Å; angles 131.38, 58.66, 149.22 degrees
Element x y z (fractional)
Ti 0.142 0.116 0.258
Ti 0.358 0.616 0.975
Ti 0.642 0.384 0.025
Ti 0.858 0.884 0.742
Cr 0.057 0.750 0.307
Cr 0.063 0.748 0.812
Cr 0.437 0.248 0.685
Cr 0.443 0.750 0.693
Cr 0.557 0.250 0.307
Cr 0.563 0.752 0.315
Cr 0.937 0.252 0.188
Cr 0.943 0.250 0.693
Si 0.065 0.419 0.484
Si 0.212 0.793 0.005
Si 0.250 0.250 0.000
Si 0.288 0.293 0.582
Si 0.435 0.919 0.354
Si 0.565 0.081 0.646
Si 0.712 0.707 0.418
Si 0.750 0.750 0.000
Si 0.788 0.207 0.995
Si 0.935 0.581 0.516

=====

# 3
Theoretical X-ray diffraction stick pattern of SrIn3 for CuKα, from a cell relaxed with PBE.
Peak positions follow from Bragg's law for the DFT cell and can differ from measured ones.

Largest 10 diffraction maxima, sorted by position, 2θ from 10° to 90°:
two_theta, d/Å, I_rel
28.77, 3.103, 25
33.53, 2.672, 100
34.12, 2.628, 22
45.21, 2.006, 14
50.97, 1.792, 18
60.70, 1.526, 17
62.40, 1.488, 14
62.76, 1.480, 19
83.16, 1.162, 6
84.66, 1.145, 11
********
Here the page continues:

This is what Free-marketeers like myself have been calling for, truly increasing competition between evil horrific insurance companies on a state to state basis. The pool of risk will be larger and will drive premiums down. BET ON IT.

Federal funding for states to use for high-risk pools in the individual insurance market and reinsurance programs in the small group market; and Changes to health savings accounts (HSAs) to allow funds in such accounts to be used to pay premiums under certain circumstances, to make net contributions to HSAs eligible for the saver’s tax credit, and to provide a 60-day grace period for medical expenses incurred prior to the establishment of an HSA.

This might be my favorite portion of the amendment. While states are being further empowered with Federal funding(really their own dollars) for high risk pools and re-insurance programs in the small group market; direct Federal intervention is not happening. The idea behind the GOP's Health Care Bill is to put the individual in charge of his/her healthcare with as little Federal intervention as possible.

Here is the really good stuff:

Limits on costs related to medical malpractice (“tort reform”), including capping noneconomic and punitive damages and making changes in the allocation of liability;

Defensive medicine over. Dead, not coming back. The economic incentive that ambulance chasers like John Edwards has to sue over bad breast implants is gone.

CBO anticipates that the combination of provisions in the amendment would reduce average private health insurance premiums per enrollee in the United States, relative to what they would be under current law-by 7 percent to 10 percent in the small group market, by 5 percent to 8 percent for individually purchased insurance, and by zero to 3 percent in the large group market. Those are averages, however, and they are subject to a great deal of uncertainty; some individuals and families in each market would see different results.

Now, these are the initial estimates by the CBO. So, we can expect to see some changes in the numbers. If these numbers hold up, I believe they will, this is a powerful weapon in the fight. What defenders of this bill, you and I, need to do is be able to explain how the inclusion of free-market reforms in this measure will lead to more innovation and lower costs for the population at large. We need to draw the distinct differences between the efficiency of the private markets and the sprawling inefficiency of the government bureaucracy. This is a battle that we can win. History and economics are on our side. Hope and change are on the side of the Democrats, also I believe they may have a centaur, but we'll still survive. Let's Dance.

~~~
1.
Calculated powder XRD pattern
Compound: Tl4NiI6
Radiation: CuKα
Structure: a DFT-relaxed cell (PBE, Alexandria)
Intensities are scaled so that the largest is 100.

Structural model:
```
Tl4NiI6
1.0
9.227 0.000 0.000
0.000 9.227 0.000
0.000 0.000 10.049
Tl Ni I
8 2 12
Cartesian
1.393 3.220 2.512
1.393 3.220 7.537
3.220 7.833 2.512
3.220 7.833 7.537
6.007 1.393 2.512
6.007 1.393 7.537
7.833 6.007 2.512
7.833 6.007 7.537
0.000 0.000 0.000
4.613 4.613 5.025
0.000 0.000 2.740
0.000 0.000 7.310
1.192 6.624 0.000
2.011 5.806 5.025
2.603 1.192 0.000
3.421 2.011 5.025
4.613 4.613 2.285
4.613 4.613 7.764
5.806 7.216 5.025
6.624 8.034 0.000
7.216 3.421 5.025
8.034 2.603 0.000
```

Principal peaks in the range 5 to 70 degrees two-theta, by angle:
- 13.0 deg, rel. 8
- 17.7 deg, rel. 9
- 21.5 deg, rel. 9
- 28.0 deg, rel. 100
- 30.6 deg, rel. 37
- 35.6 deg, rel. 14
- 35.7 deg, rel. 19
- 43.9 deg, rel. 9
- 44.3 deg, rel. 10
- 47.8 deg, rel. 20
- 57.8 deg, rel. 9
- 59.6 deg, rel. 19

2.
Calculated powder XRD pattern
Compound: PrHo7Tm12
Radiation: CuKα
Structure: a DFT-relaxed cell (PBE, Alexandria)
Intensities are scaled so that the largest is 100.

Structural model:
```
PrHo7Tm12
1.0
5.961 3.441 5.183
-5.961 3.441 5.183
0.000 -6.883 5.183
Pr Ho Tm
1 7 12
Cartesian
0.000 0.000 0.000
-5.223 0.494 6.459
-3.039 -4.276 9.091
2.183 -4.770 6.459
0.000 0.000 7.775
-2.183 4.770 9.091
3.039 4.276 6.459
5.223 -0.494 9.091
-1.958 -0.509 4.622
-3.156 -0.991 8.509
-0.720 -3.228 7.041
1.420 -1.441 4.622
-2.436 2.238 7.041
0.538 1.950 4.622
-0.538 -1.950 10.928
2.436 -2.238 8.509
-1.420 1.441 10.928
0.720 3.228 8.509
3.156 0.991 7.041
1.958 0.509 10.928
```

Principal peaks in the range 5 to 70 degrees two-theta, by angle:
- 30.0 deg, rel. 38
- 31.2 deg, rel. 30
- 31.8 deg, rel. 100
- 32.5 deg, rel. 50
- 33.3 deg, rel. 50
- 33.6 deg, rel. 26
- 37.9 deg, rel. 12
- 52.6 deg, rel. 14
- 53.9 deg, rel. 15
- 55.4 deg, rel. 16
- 55.6 deg, rel. 21
- 58.6 deg, rel. 14

3.
Calculated powder XRD pattern
Compound: Ti3WC3N
Radiation: CuKα
Structure: a DFT-relaxed cell (PBE, Alexandria)
Intensities are scaled so that the largest is 100.

Structural model:
```
Ti3WC3N
1.0
1.527 0.882 10.087
-1.527 0.882 10.087
0.000 -1.763 10.087
Ti W C N
3 1 3 1
Cartesian
0.000 0.000 0.000
0.000 0.000 7.613
0.000 0.000 15.233
0.000 0.000 22.715
0.000 0.000 11.398
0.000 0.000 18.960
0.000 0.000 26.500
0.000 0.000 3.851
```

Principal peaks in the range 5 to 70 degrees two-theta, by angle:
- 8.8 deg, rel. 100
- 17.6 deg, rel. 23
- 26.5 deg, rel. 10
- 34.0 deg, rel. 14
- 34.4 deg, rel. 14
- 35.6 deg, rel. 19
- 36.0 deg, rel. 55
- 37.1 deg, rel. 13
- 40.0 deg, rel. 8
- 41.7 deg, rel. 62
- 60.1 deg, rel. 19
- 60.6 deg, rel. 19

4.
Calculated powder XRD pattern
Compound: Os2AuSe
Radiation: CuKα
Structure: a DFT-relaxed cell (PBE, Alexandria)
Intensities are scaled so that the largest is 100.

Structural model:
```
Os2AuSe
1.0
2.813 0.000 0.000
0.000 2.850 0.000
-0.023 0.000 8.756
Os Au Se
2 1 1
Cartesian
~~~


The Great Thomas Sowell hits the nail on the head.

Economics and politics confront the same fundamental problem: What everyone wants adds up to more than there is. Market economies deal with this problem by confronting individuals with the costs of producing what they want, and letting those individuals make their own trade-offs when presented with prices that convey those costs. That leads to self-rationing, in the light of each individual’s own circumstances and preferences.

Wednesday, November 4, 2009

Ruminations on the Recent Election

A few thoughts about the election last night. First, there is the old axiom that all politics is local. Very true, and one of the reasons that decentralized government is the best form of governance. It was comical to hear hard-core liberals last night pulling out this card. "This has no bearing on the President as all politics are local." If they really believed it, than they would be for a smaller central government and more power in the hands of the state and local governments. But I digress. Some interesting polling data I saw this morning in the New York Times caught my eye. The split in party affiliation is 33% Democrat, 37% Republican and 30% independent.

Pct. of voters Deeds McDonnell
33% Democrat 93% 7%
37% Republican 4% 96%
30% Independent or other 33% 66%

Deeds won 93% of Democrats, 4% of Republicans and 33% of independents. The figure that is not getting attention, and should is the 7% of the Democrat vote that McDonnell was able to siphon off. Almost 1 in 10 democrats decided to vote for the Republican in a state that all of the experts say is trending from purple to blue. McDonnell ran a positive, results oriented campaign and ended up winning big. Bob McDonnell won Virginia, my home state by 18 points. Republicans and conservatives need to run positive results oriented campaigns if they want to win in 2010. I am all for conservative insurgencies in primaries to let the squishes know who is paying them, but we need to focus on results oriented policies if their is to be another Republican revolution in 2010. We can't simply run against the party in power. This is a good start.

Tuesday, November 3, 2009

Al Gore is the Music Man

Al Gore is quite possibly the greatest con man in history. If I was Al Gore's agent, I would book him on a Broadway run of THE MUSIC MAN and cast him as Henry Hill. I can see and hear the Goracle running through his version of the immortal song Trouble.
(Apologies to Meredith Wilson)

Citizens of the world/Well either you're closing your eyes/To a situation you do not wish to acknowledge/ Or you are not aware of the caliber of disaster indicated/ By the presence of carbon in your community./ Well, ya got warming, my friend, right here/ Ya got warming right here in your community./ Why, sure I'm a carbon man/ Certainly mighty proud I say/ I'm always mighty proud to say it/ I consider the hours that I expand carbon/ flying my private jet are golden./ Help you cultivate a green thumb/ and a cool head and a preening eye/ Never take and try to give/ a Nobel Prize from/ a three railed sailing yacht/ But just as I say/ It takes judgment,brains, and pomposity to thrive/ in a rigged game/ I say that any boob kin take/ and shove a cap and trade bill/ and they call that progress/ the first big step on the road to World Sal-Va-/ I say, first, recycling plastic/ then then re-using TP/ An the next thing you know/ your son is trading carbon credits/ in a hemp made suit/ An listenin' to some big out of town movie star/ hearin him talk about sustainable living/ not some communal living but living where the world isn't going to pot/ Like to see some stuck up Commie boy smoking on green patch/ Makes your blood boil/ Well I should say/ Plebes let me tell you what I mean/ You got one, two, three, four, five, six, seven continents in the world/ continents that mark a difference/ between Europeans and a Yank/ With a capital Y/ and proceeded by W and that stands for WARMING/ And all week long your Republican/ youth will be debatin away/ I say your youth will be debating/ debating away their noon time suppertime indoctrination time too/ get the can in the recycling/ never mind doing study/ or reading Adam Smith or Edmund Burke/ never mind being charitable/ til the third world is caught under water/ on a Saturday night and that's warming/ Oh yes we got lot's and lots of warming/ I'm thinking of the kids in India/ bellies poking out cause they can't get any food after school/ That's warming/ with a capital W/ followed by Y and that stands for Yankee/ who everybody blames.

To remember the rhythm

Any-who, Al Gore is set to become the world's first carbon billionaire from his pushing of global warming on us the residents of River City. Pretty similar to the huckster selling the boys band, no actual knowledge of the issues at hand but knows how to sell the sheep.

Hey How about this Front Page Editorializing

From The New York Times

It is probably not wise to draw broad lessons from Tuesday’s results about what might happen in next year’s midterm Congressional elections and high-profile governor’s races. That said, it is worth watching whether Mr. Obama succeeds in turning out his supporters — especially people who voted for the first time last year — in New Jersey and to a lesser extent in Virginia.

That will be an early sign of his ability to transfer his own appeal to other candidates and of whether he has succeeded in building a sustainable new coalition of Democratic voters. That is something that will not be lost on Democratic members of Congress, especially those in moderate and Republican-leaning districts whom he will be pressing to cast tough votes on issues like health care and climate change.

Similarly, in Virginia, keep an eye on whether independent voters who supported Mr. Obama so strongly in 2008 turn out for Mr. Deeds, vote for Mr. McDonnell or just stay home.

History may not repeat itself but it sure does rhyme.

Market Forces Vs. Government Forces

Now, I'm not one to often gloat when I'm right, but the news of the "unexpected" profit by the Ford Motor Company this week just makes me want to dance around in my Milton Friedman Halloween mask. From the New York Times this morning:

While its crosstown rivals stumbled through bankruptcy this summer, the Ford Motor Company pressed its advantage, and delivered surprising news on Monday that its cost-cutting efforts and improving sales helped it earn nearly $1 billion in the third quarter.

Ford could have taken the bail-out money the same way that GM and Chrysler did. It would have been easy and completely understandable. Who says no to free money. Well, Ford did as they had put together a plan to work their way out of near bankruptcy. What is this plan that Ford came up with to once again become a profitable company. I'm sure that it must be something that the masters in DC could push GM and Chrysler to do.

Ford, which earned $997 million in the third quarter and made money in North America for the first time since 2005, has turned itself around largely by cutting costs and introducing cars that consumers want to buy, rather than resorting to deep discounts to lure shoppers into showrooms.

Let me get this right, by producing a product that consumers want to purchase, Ford was able to post a profit. That flies against everything I learned in my economics courses over the years(snark.) Look, this was a foregone conclusion that Ford was going to post a profit as they have been restructuring their business for the last several years with an eye on the future. Certainly, GM and Chrysler were able to clear their books by taking gubmint money, but the psychological and monetary edge that Ford picked up during the government restructuring of Chrysler and GM put Ford at a distinct advantage.

When Ford chose not to ask for government loans, the company was freed to continue spending on new products like its Fusion and Taurus sedans. G.M. and Chrysler, by comparison, had to rein in much of their product development programs to conserve cash while they awaited federal aid.A report by the Government Accountability Office released on Monday said that the federal government was unlikely to recover much of the $81 billion that was invested in G.M. and Chrysler, their suppliers and related financing companies.

Let this be another example for the inefficiency of Government Force Vs. the Power of Market Forces. While Ford investors will begin to see a return on the investment that they are making into Ford Motor Company, you and I, the American taxpayer, will never even sniff the 81 billion that we sunk into GM and Chrysler.